Contents >
# MnGaPCl2 (PBE, optimized geometry)
data_MnGaPCl2
_cell_length_a 4.7288
_cell_length_b 4.7288
_cell_length_c 5.0488
_cell_angle_alpha 90.00
_cell_angle_beta 90.00
_cell_angle_gamma 90.00
_symmetry_space_group_name_H-M 'P 4/m m m'
_symmetry_Int_Tables_number 123
_symmetry_space_group_name_Hall '-P 4 2'
loop_
_atom_site_label
_atom_site_type_symbol
_atom_site_fract_x
_atom_site_fract_y
_atom_site_fract_z
_atom_site_occupancy
Mn1 Mn 0.0000 0.0000 0.0000 1
Ga1 Ga 0.5000 0.5000 0.5000 1
P1 P 0.5000 0.5000 0.0000 1
Cl1 Cl 0.0000 0.5000 0.5000 1
# Polymorph energy (0 for the lowest one)   371 meV per atom
# Total moment   0.935 μB per atom
# N(E_F)   2.01 states/eV/f.u.
# Raw formation energy   0.181 eV/atom



# MnGaPCl2 (PBE, optimized geometry)
data_MnGaPCl2
_cell_length_a 5.0477
_cell_length_b 5.0477
_cell_length_c 4.5691
_cell_angle_alpha 90.00
_cell_angle_beta 90.00
_cell_angle_gamma 90.00
_symmetry_space_group_name_H-M 'P 4/m m m'
_symmetry_Int_Tables_number 123
_symmetry_space_group_name_Hall '-P 4 2'
loop_
_atom_site_label
_atom_site_type_symbol
_atom_site_fract_x
_atom_site_fract_y
_atom_site_fract_z
_atom_site_occupancy
Mn1 Mn 0.0000 0.0000 0.0000 1
Ga1 Ga 0.5000 0.5000 0.5000 1
P1 P 0.0000 0.0000 0.5000 1
Cl1 Cl 0.0000 0.5000 0.0000 1
# Polymorph energy (0 for the lowest one)   0 meV per atom
# Total moment   0.595 μB per atom
# N(E_F)   1.57 states/eV/f.u.
# Raw formation energy   -0.190 eV/atom



# MnGaS2Cl (PBE, optimized geometry)
data_MnGaS2Cl
_cell_length_a 4.5919
_cell_length_b 4.5919
_cell_length_c 4.9893
_cell_angle_alpha 90.00
_cell_angle_beta 90.00
_cell_angle_gamma 90.00
_symmetry_space_group_name_H-M 'P 4/m m m'
_symmetry_Int_Tables_number 123
_symmetry_space_group_name_Hall '-P 4 2'
loop_
_atom_site_label
_atom_site_type_symbol
_atom_site_fract_x
_atom_site_fract_y
_atom_site_fract_z
_atom_site_occupancy
Mn1 Mn 0.0000 0.0000 0.0000 1
Ga1 Ga 0.5000 0.5000 0.5000 1
S1 S 0.0000 0.5000 0.0000 1
Cl1 Cl 0.0000 0.0000 0.5000 1
# Polymorph energy (0 for the lowest one)   0 meV per atom
# Total moment   0.701 μB per atom
# N(E_F)   3.23 states/eV/f.u.
# Raw formation energy   -0.236 eV/atom



# MnGaS2Cl (PBE, optimized geometry)
data_MnGaS2Cl
_cell_length_a 4.7457
_cell_length_b 4.7457
_cell_length_c 4.7095
_cell_angle_alpha 90.00
_cell_angle_beta 90.00
_cell_angle_gamma 90.00
_symmetry_space_group_name_H-M 'P 4/m m m'
_symmetry_Int_Tables_number 123
_symmetry_space_group_name_Hall '-P 4 2'
loop_
_atom_site_label
_atom_site_type_symbol
_atom_site_fract_x
_atom_site_fract_y
_atom_site_fract_z
_atom_site_occupancy
Mn1 Mn 0.0000 0.0000 0.0000 1
Ga1 Ga 0.5000 0.5000 0.5000 1
S1 S 0.0000 0.5000 0.5000 1
Cl1 Cl 0.5000 0.5000 0.0000 1
# Polymorph energy (0 for the lowest one)   310 meV per atom
# Total moment   0.969 μB per atom
# N(E_F)   0.95 states/eV/f.u.
# Raw formation energy   0.074 eV/atom



# MnGaSe2Cl (PBE, optimized geometry)
data_MnGaSe2Cl
_cell_length_a 4.5702
_cell_length_b 4.5702
_cell_length_c 5.1599
_cell_angle_alpha 90.00
_cell_angle_beta 90.00
_cell_angle_gamma 90.00
_symmetry_space_group_name_H-M 'P 4/m m m'
_symmetry_Int_Tables_number 123
_symmetry_space_group_name_Hall '-P 4 2'
loop_
_atom_site_label
_atom_site_type_symbol
_atom_site_fract_x
_atom_site_fract_y
_atom_site_fract_z
_atom_site_occupancy
Mn1 Mn 0.0000 0.0000 0.0000 1
Ga1 Ga 0.0000 0.0000 0.5000 1
Se1 Se 0.0000 0.5000 0.0000 1
Cl1 Cl 0.5000 0.5000 0.5000 1
# Total moment   0.201 μB per atom
# N(E_F)   3.89 states/eV/f.u.
# Raw formation energy   -0.041 eV/atom



# MnTlGaCl4 (PBE, optimized geometry)
data_MnTlGaCl4
_cell_length_a 7.0109
_cell_length_b 7.2153
_cell_length_c 8.9968
_cell_angle_alpha 90.00
_cell_angle_beta 107.66
_cell_angle_gamma 90.00
_symmetry_space_group_name_H-M 'P 1 21/m 1'
_symmetry_Int_Tables_number 11
loop_
_symmetry_equiv_pos_as_xyz
'x,y,z'
'-x,-y,-z'
'-x,y+1/2,-z'
'x,-y+1/2,z'
loop_
_atom_site_label
_atom_site_type_symbol
_atom_site_fract_x
_atom_site_fract_y
_atom_site_fract_z
_atom_site_occupancy

To do >
Next, find "0.935 μB" and "-0.190 eV/atom" in the block earlier on, and retype these two lines and those between.

Outcome >
# Total moment   0.935 μB per atom
# N(E_F)   2.01 states/eV/f.u.
# Raw formation energy   0.181 eV/atom



# MnGaPCl2 (PBE, optimized geometry)
data_MnGaPCl2
_cell_length_a 5.0477
_cell_length_b 5.0477
_cell_length_c 4.5691
_cell_angle_alpha 90.00
_cell_angle_beta 90.00
_cell_angle_gamma 90.00
_symmetry_space_group_name_H-M 'P 4/m m m'
_symmetry_Int_Tables_number 123
_symmetry_space_group_name_Hall '-P 4 2'
loop_
_atom_site_label
_atom_site_type_symbol
_atom_site_fract_x
_atom_site_fract_y
_atom_site_fract_z
_atom_site_occupancy
Mn1 Mn 0.0000 0.0000 0.0000 1
Ga1 Ga 0.5000 0.5000 0.5000 1
P1 P 0.0000 0.0000 0.5000 1
Cl1 Cl 0.0000 0.5000 0.0000 1
# Polymorph energy (0 for the lowest one)   0 meV per atom
# Total moment   0.595 μB per atom
# N(E_F)   1.57 states/eV/f.u.
# Raw formation energy   -0.190 eV/atom